Next, give back the part of the contents underneath that starts with the line with "0.406 0.542" and stops after the one with "(0.669, 0.919,".
DFT (GGA-PBE) results for a relaxed structure of K2Pd3S2.

The structure in POSCAR format:
```
K2Pd3S2
1.0
8.243 0.000 0.000
4.122 5.242 0.000
4.122 0.000 15.921
K Pd S
8 12 8
direct
0.648 0.158 0.094 K
0.259 0.842 0.094 K
0.194 0.158 0.906 K
0.102 0.342 0.406 K
0.900 0.842 0.906 K
0.491 0.658 0.406 K
0.556 0.342 0.594 K
0.850 0.658 0.594 K
0.509 0.249 0.786 Pd
0.705 0.751 0.786 Pd
0.242 0.249 0.214 Pd
0.241 0.251 0.714 Pd
0.545 0.751 0.214 Pd
0.045 0.749 0.714 Pd
0.508 0.251 0.286 Pd
0.205 0.749 0.286 Pd
0.875 0.250 0.250 Pd
0.875 0.750 0.250 Pd
0.875 0.250 0.750 Pd
0.375 0.750 0.750 Pd
0.831 0.458 0.117 S
0.052 0.542 0.117 S
0.711 0.458 0.883 S
0.919 0.042 0.383 S
0.406 0.542 0.883 S
0.698 0.958 0.383 S
0.039 0.042 0.617 S
0.344 0.958 0.617 S
```

## Properties
Volume = 688.0 Å³/cell
ρ = 4.46 g/cm3
Energy relative to the elements = -0.408 eV/atom

----------

# 1
VASP calculation (PBE+U) on crystalline Li3MnAsCO7 at its relaxed geometry.

Cell: 8.525 8.526 9.865 Å, 106.60 106.60 106.59°
Fractional coordinates of all 52 atoms:
As (0.688, 0.438, 0.416)
O (0.473, 0.723, 0.567)
Li (0.037, 0.787, 0.079)
Li (0.981, 0.519, 0.276)
O (0.027, 0.777, 0.433)
Li (0.769, 0.731, 0.276)
Li (0.231, 0.269, 0.724)
O (0.331, 0.081, 0.604)
Mn (0.425, 0.675, 0.326)
O (0.196, 0.446, 0.123)
O (0.215, 0.658, 0.696)
O (0.804, 0.554, 0.877)
Li (0.731, 0.769, 0.724)
O (0.616, 0.366, 0.935)
Li (0.481, 0.019, 0.276)
O (0.143, 0.393, 0.875)
O (0.831, 0.581, 0.604)
Mn (0.075, 0.825, 0.674)
Mn (0.575, 0.325, 0.674)
O (0.696, 0.946, 0.123)
O (0.285, 0.842, 0.304)
O (0.785, 0.342, 0.304)
C (0.742, 0.992, 0.021)
O (0.858, 0.607, 0.125)
O (0.092, 0.035, 0.304)
C (0.242, 0.492, 0.021)
O (0.669, 0.919, 0.396)
Li (0.019, 0.481, 0.724)
O (0.169, 0.419, 0.396)
Li (0.463, 0.713, 0.921)
C (0.758, 0.508, 0.979)
O (0.384, 0.634, 0.066)
O (0.884, 0.134, 0.065)
O (0.304, 0.054, 0.877)
As (0.188, 0.938, 0.416)
O (0.643, 0.892, 0.875)
O (0.527, 0.277, 0.433)
Li (0.269, 0.231, 0.276)
C (0.258, 0.008, 0.979)
As (0.312, 0.562, 0.584)
O (0.357, 0.108, 0.125)
O (0.116, 0.866, 0.935)
As (0.812, 0.062, 0.584)
O (0.408, 0.465, 0.696)
O (0.908, 0.965, 0.696)
O (0.592, 0.535, 0.304)
Li (0.519, 0.981, 0.724)
Li (0.963, 0.213, 0.921)
Mn (0.925, 0.174, 0.326)
O (0.715, 0.158, 0.696)
Li (0.537, 0.287, 0.079)
O (0.973, 0.223, 0.567)

Computed properties:
The value obtained for the calculated formation energy is -2.1112 eV per atom.

***

# 2
VASP calculation (PBE+U) on crystalline NaMnAsCO7 at its relaxed geometry.

Cell: 5.399 6.440 9.288 Å, 90.00 92.93 90.00°
Fractional coordinates of all 22 atoms:
Na (0.235, 0.000, 0.275)
Na (0.765, 0.500, 0.725)
Mn (0.212, 0.222, 0.838)
Mn (0.788, 0.722, 0.162)
As (0.280, 0.728, 0.936)
As (0.720, 0.228, 0.064)
C (0.276, 0.234, 0.581)
C (0.724, 0.734, 0.419)
O (0.057, 0.232, 0.639)
O (0.127, 0.737, 0.092)
O (0.198, 0.525, 0.824)
O (0.208, 0.927, 0.818)
O (0.309, 0.232, 0.451)
O (0.404, 0.213, 0.022)
O (0.456, 0.237, 0.684)
O (0.544, 0.737, 0.316)
O (0.596, 0.713, 0.978)
O (0.691, 0.732, 0.549)
O (0.792, 0.427, 0.182)
O (0.802, 0.025, 0.176)
O (0.873, 0.237, 0.908)
O (0.943, 0.732, 0.361)

Computed properties:
The value obtained for the calculated formation energy is -1.8245 eV per atom.

***

# 3
VASP calculation (PBE+U) on crystalline Na5Mn2AsC4O16 at its relaxed geometry.

Cell: 10.117 10.075 10.017 Å, 60.47 60.05 59.48°
Fractional coordinates of all 56 atoms:
Na (0.208, 0.208, 0.792)
Na (0.211, 0.789, 0.789)
Na (0.212, 0.788, 0.212)
Na (0.537, 0.963, 0.963)
Na (0.541, 0.541, 0.959)
Na (0.788, 0.212, 0.788)
Na (0.789, 0.211, 0.211)
Na (0.792, 0.792, 0.208)
Na (0.959, 0.959, 0.541)
Na (0.963, 0.537, 0.537)
Mn (0.370, 0.377, 0.876)
Mn (0.377, 0.370, 0.377)
Mn (0.377, 0.876, 0.377)
Mn (0.876, 0.377, 0.370)
As (0.000, 0.000, 0.000)
As (0.750, 0.750, 0.750)
C (0.153, 0.160, 0.523)
C (0.160, 0.153, 0.164)
C (0.164, 0.523, 0.160)
C (0.230, 0.588, 0.591)
C (0.523, 0.164, 0.153)
C (0.588, 0.230, 0.591)
C (0.591, 0.591, 0.230)
C (0.591, 0.591, 0.588)
0.406 0.542 0.883 S
0.698 0.958 0.383 S
0.039 0.042 0.617 S
0.344 0.958 0.617 S
```

## Properties
Volume = 688.0 Å³/cell
ρ = 4.46 g/cm3
Energy relative to the elements = -0.408 eV/atom

----------

# 1
VASP calculation (PBE+U) on crystalline Li3MnAsCO7 at its relaxed geometry.

Cell: 8.525 8.526 9.865 Å, 106.60 106.60 106.59°
Fractional coordinates of all 52 atoms:
As (0.688, 0.438, 0.416)
O (0.473, 0.723, 0.567)
Li (0.037, 0.787, 0.079)
Li (0.981, 0.519, 0.276)
O (0.027, 0.777, 0.433)
Li (0.769, 0.731, 0.276)
Li (0.231, 0.269, 0.724)
O (0.331, 0.081, 0.604)
Mn (0.425, 0.675, 0.326)
O (0.196, 0.446, 0.123)
O (0.215, 0.658, 0.696)
O (0.804, 0.554, 0.877)
Li (0.731, 0.769, 0.724)
O (0.616, 0.366, 0.935)
Li (0.481, 0.019, 0.276)
O (0.143, 0.393, 0.875)
O (0.831, 0.581, 0.604)
Mn (0.075, 0.825, 0.674)
Mn (0.575, 0.325, 0.674)
O (0.696, 0.946, 0.123)
O (0.285, 0.842, 0.304)
O (0.785, 0.342, 0.304)
C (0.742, 0.992, 0.021)
O (0.858, 0.607, 0.125)
O (0.092, 0.035, 0.304)
C (0.242, 0.492, 0.021)
O (0.669, 0.919, 0.396)